I think he's talking about the samurai dragon. I ran drawn joker + light Hades. With Siren, Echidna and some nukers with good stats. Some trash waves can be hairy but the bosses are quite safe.There is no safe team in the us version without daitengu. Your most realistic bet is a high level Horus/Ra, Ra/Ra or very high Horus/Horus team. But this dungeon is designed to rob your stones! If you don't have a Horus or Ra... Try my Zeus build. But all options need very good matching skills, or path and decision...
If you are talking about the Dk. War Dragon you can run a resist team. I used Abyss Neptune and Arch Hades. Those extra resists really helped on the early floors. As for the subs I don't remember what I used but I think something along the lines of Zues, Odin, Hera, and Horus. Zeus and Hera for gravity, Odin for his nuke, Horus for stats. I may have used a Siren for more safety instead of Hera. But I think this team was pretty safe. I don't remember being in any danger. You can probably trade out any of the subs as long as your HP is high enough to survive the dragon's skill.I want to try Legend Dark Dragon, but I don't think my team is capable...Anyone got some decent teams to run that are relatively safe?
What team are you using? I just finished starlight sanctuary so I'll be attempting this one soon.Edit: Speaking of Heavy Metal I've done three attempts so far, each time I got to the boss with 0 stones and Echidna charged so I could have taken him with 2 stones max. No drop yet though.
Interestingly enough the new mythical ore dragons don't appear in biweekly dungeons, but in a new dungeon beyond the conditionals where they appear as the boss of and have an insanely low drop rate.
I have Underlord Inferno Hades. Will that work?
Interestingly enough the new mythical ore dragons don't appear in biweekly dungeons, but in a new dungeon beyond the conditionals where they appear as the boss of and have an insanely low drop rate.
They have 50% resist to two elements (overlapping between toys/Romans) and Great Tengu's leader swap skill.Are these dragons any good? I've not read anything about them yet.
Nobunaga has godlike stats, literally. Whereas Helheim is useless.Just tried clearing Dark War Dragon - Legend with Ra and Horus friend. All my monsters in Ra team are still in level 30 range so I couldn't take out take out Dragon Nobunaga in 3 turns and ended up using one stone. Still, got one stone back by clearing up the whole dungeon so its all good. Now that I have Nobunaga I am having trouble deciding who is more boring of a monster; him or Viciousdragon Helheim. Both have equally uninspired regular and leader skills.
Sword of Flames dungeon drop rate is incredibly low, 13 runs, no drop...now i see why this dungeon lasts an entire week...
Sword of Flames dungeon drop rate is incredibly low, 13 runs, no drop...now i see why this dungeon lasts an entire week...
Don't think US is getting Groove Coaster, but 5.3 yesRumours of a server maintenance on the 24th. Groove Coaster and 5.3 incoming?
Don't think US is getting Groove Coaster, but 5.3 yes
good, now I can be pissed off the whole week instead of just for a day. Makes it easier to spread out the stamina though.
oh yeah, hurray 200 days bonus stones!
I've had an increadible streak of luck with MFK drops. Almost 1 / run. Already collected 5. Probably not going to get anymore for the rest of the 2 weeks
Are you running Expert? why do i always get the shittiest luck ever for those dungeons...
Kind of weird that it hasn't been confirmed on the GungHo side, yeah? Either it's only referring to the JP collab, or GungHo is waiting for 5.3 to hit before announcing anything, or GungHo US is just being late as always.
I've cleared all three levels of the Flame Knight dungeon. Out of the three runs I had only 1 drop so far, and it was on the novice level on the 4th stage. I ran the dungeon with my mono-blue team but would a decent ADK team be able to take on expert?
Yeah that's probably all my luck for the day...
When is the next 2x skill up event?
Yeah that's probably all my luck for the day...
When is the next 2x skill up event?
You ready for another Failiofest!?i can't wait to REM forchinese godscupids
Went back and read the first few pages for kicks. Out of curiosity (and maybe to fish for quotes for the new thread), what do y'all think about tier whoring the initial roll for that list of starter gods now? There was a lot of resistance against rerolling back when the thread began.
I'm literally saving every single free stone that I get until Lucifer is in a Godfest again and then rolling til I get him or run out.
I've played entirely on free stones so far and he's the only guy that I need to put my team over the top.
For non-IAP, it's essential. Hell getting a Lucifer alone is worth probably $100+ of IAP purchases. Think about all the doors that opens with a Lucifer First roll? Easy Hera, Easy Heros, leading to easy Valk, to Easy Zeus. If I had to redo it, I would not start until I get Lucifer.
Speaking of that how would you guys tier the REM Gods?
My goes like this
1st tier - Archangel Lucifer - Pretty much turns the game into easy mode. Can be used to make a great teams from scratch. Seriously get this as a starting roll and you never use REM again.
2nd tier - Horus - best offensive God but unlike Lucifer which by itself can auto make great teams, Horus you still to to do a lot of work to make viable Horus teams.
== Unrelated to this page: records of molecules ==
<<<
1.
Entry from the OMol25 dataset: a 10-piece molecular cluster, C50H94F21N3O16 overall (ωB97M-V/def2-TZVPD).

Geometry (Å):
C  12.431  13.009  -22.060
C  13.070  13.662  -20.821
C  12.118  13.366  -19.609
C  12.915  13.895  -18.342
N  12.581  13.129  -17.058
C  12.973  13.897  -15.774
C  12.057  13.407  -14.647
C  10.749  12.924  -15.375
C  11.046  13.218  -16.856
C  13.136  11.657  -16.993
C  14.633  11.609  -17.468
C  15.207  10.224  -17.192
H  12.964  12.102  -22.345
H  12.448  13.757  -22.852
H  11.359  12.818  -22.013
H  13.064  14.744  -20.949
H  14.110  13.343  -20.739
H  11.861  12.307  -19.610
H  11.172  13.902  -19.674
H  12.497  14.885  -18.162
H  13.981  14.009  -18.543
H  14.041  13.720  -15.648
H  12.928  14.966  -15.986
H  12.527  12.726  -13.939
H  11.727  14.291  -14.100
H  10.879  11.842  -15.342
H  9.767  13.132  -14.949
H  10.618  12.441  -17.490
H  10.708  14.187  -17.222
H  12.490  11.130  -17.695
H  12.814  11.323  -16.006
H  15.358  12.289  -17.021
H  14.764  11.808  -18.531
H  16.263  10.168  -17.459
H  14.725  9.489  -17.836
H  14.901  9.925  -16.190
C  7.143  14.029  -12.293
C  5.667  13.578  -12.526
O  4.792  14.452  -12.562
N  5.458  12.094  -12.902
H  5.095  12.040  -13.842
H  6.318  11.574  -13.005
C  4.570  11.378  -11.812
H  7.618  13.925  -13.268
H  7.658  13.525  -11.475
H  7.138  15.072  -11.977
H  5.162  11.364  -10.897
H  4.543  10.337  -12.132
H  3.629  11.918  -11.703
C  6.187  14.366  -16.083
C  6.105  13.809  -17.514
N  5.070  14.485  -18.477
C  3.704  14.401  -17.842
C  5.375  16.012  -18.579
C  6.757  16.390  -19.030
C  5.152  13.693  -19.839
C  4.181  14.076  -20.923
O  4.240  15.510  -21.102
C  3.186  16.007  -21.940
H  5.211  14.452  -15.607
H  6.632  15.358  -16.155
H  6.872  13.754  -15.496
H  5.767  12.776  -17.600
H  7.092  13.856  -17.973
H  3.021  14.903  -18.527
H  3.687  14.972  -16.913
H  3.396  13.404  -17.526
H  5.270  16.528  -17.625
H  4.633  16.564  -19.155
H  6.918  17.459  -18.894
H  7.044  16.177  -20.059
H  7.577  15.931  -18.477
H  4.975  12.653  -19.566
H  6.215  13.756  -20.075
H  3.205  13.750  -20.564
H  4.421  13.590  -21.869
H  3.228  15.741  -22.996
H  2.841  17.039  -21.876
H  2.252  15.552  -21.608
C  8.983  17.819  -16.135
O  9.173  17.644  -17.553
O  7.638  18.229  -15.824
C  9.489  16.513  -15.384
F  10.854  16.512  -15.187
F  8.917  16.359  -14.144
F  9.198  15.396  -16.030
C  10.462  17.611  -18.135
C  10.348  17.426  -19.638
H  11.343  17.259  -20.051
H  9.724  16.574  -19.909
H  9.951  18.341  -20.077
H  11.023  16.750  -17.773
H  10.900  18.551  -17.801
H  9.633  18.618  -15.778
C  8.197  9.414  -11.737
O  6.833  8.966  -11.425
O  7.989  10.655  -12.353
C  9.181  9.333  -10.495
F  9.670  8.160  -10.384
F  10.185  10.170  -10.605
F  8.704  9.592  -9.234
C  6.693  7.586  -10.937
C  5.272  7.501  -10.430
H  4.554  7.525  -11.250
H  5.131  6.620  -9.804
H  4.983  8.327  -9.781
H  7.362  7.326  -10.117
H  6.755  6.866  -11.752
H  8.555  8.734  -12.510
>>>
3rd tier - Isis, Tri-color New GReek Gods, Neptune, Parvati, Shiva, Astaroth, Orochi - Frequently used hard to replace.
4th tier - Lakshmi,Dark and Light new Greek, Tri-color Norse, Hades, Rest of Archangels, Amu, Cat girl - Frequently used, but easily replaced. Just better version.
5th tier - Ceres, Venus, Sasuke, Indra, Demon Lucifer, Light and Dark Norse, Ra - Less useful than 3rd Tier and 4th Tier
6th Tier - Rest of Demons, Anubus, Hino, Minerva - Useful in Rare situations but not needed.
7th Tier - Vritra, Yomi - Crapiest of all crap.
Went back and read the first few pages for kicks. Out of curiosity (and maybe to fish for quotes for the new thread), what do y'all think about tier whoring the initial roll for that list of starter gods now? There was a lot of resistance against rerolling back when the thread began.
Lucifer, Neptune, Hades. Loki and Pers would be icing on the cake.
The new Chinese gods have a lot of people throwing their panties on stage, but I haven't spent enough time to know how good they are and who I want to roll during the upcoming godfest.
Lucifer, Neptune, Hades. Loki and Pers would be icing on the cake.
The new Chinese gods have a lot of people throwing their panties on stage, but I haven't spent enough time to know how good they are and who I want to roll during the upcoming godfest.